We added DynamicProxy to our ASP.NET web app a couple of weeks ago. The code ran fine in dev and QA, but when we pushed to production, we got the following exception (top of stack trace only):
[ArgumentNullException: Invalid internal state.]
System.Reflection.Emit.TypeBuilder._InternalSetMethodIL(Int32 methodHandle, Boolean isInitLocals, Byte[] body, Byte[] LocalSig, Int32 sigLength, Int32 maxStackSize, Int32 numExceptions, __ExceptionInstance[] exceptions, Int32[] tokenFixups, Int32[] rvaFixups, Module module) +0 System.Reflection.Emit.TypeBuilder.InternalSetMethodIL(Int32 methodHandle, Boolean isInitLocals, Byte[] body, Byte[] LocalSig, Int32 sigLength, Int32 maxStackSize, Int32 numExceptions, __ExceptionInstance[] exceptions, Int32[] tokenFixups, Int32[] rvaFixups, Module module) +56 System.Reflection.Emit.TypeBuilder.CreateTypeNoLock() +1033 System.Reflection.Emit.TypeBuilder.CreateType() +99 Castle.DynamicProxy.Generators.Emitters.AbstractTypeEmitter.CreateType(TypeBuilder type) +72 Castle.DynamicProxy.Generators.Emitters.AbstractTypeEmitter.BuildType() +96 Castle.DynamicProxy.Generators.ClassProxyGenerator.GenerateType(String name, Type[] interfaces, INamingScope namingScope) +854 Castle.DynamicProxy.Generators.ClassProxyGenerator.GenerateCode(Type[] interfaces, ProxyGenerationOptions options) +834 Castle.DynamicProxy.DefaultProxyBuilder.CreateClassProxyType(Type classToProxy, Type[] additionalInterfacesToProxy, ProxyGenerationOptions options) +133 Castle.DynamicProxy.ProxyGenerator.CreateClassProxyType(Type classToProxy, Type[] additionalInterfacesToProxy, ProxyGenerationOptions options) +52 Castle.DynamicProxy.ProxyGenerator.CreateClassProxy(Type classToProxy, Type[] additionalInterfacesToProxy, ProxyGenerationOptions options, Object[] constructorArguments, IInterceptor[] interceptors) +308 Castle.DynamicProxy.ProxyGenerator.CreateClassProxy(Type classToProxy, Type[] additionalInterfacesToProxy, ProxyGenerationOptions options, IInterceptor[] interceptors) +48 Castle.DynamicProxy.ProxyGenerator.CreateClassProxy(Type classToProxy, ProxyGenerationOptions options, IInterceptor[] interceptors) +44
It worked fine when we first pushed the code, and an IIS reset fixed it, so I'm assuming it's thread related, but I couldn't find anything on the interwebs regarding best practices for thread-safety proxy generation. Suggestions?
UPDATE: After reading some more on the issue, especially here, I realized one potential issue -- namely that I had not overwritten Equals/GetHashCode for the implementation of IProxyGenerationHook I had written, which would prevent DynamicProxy from caching it's types. As I can find next to nothing on the exception I saw in general let alone related to DP, I'm gonna assume that it was the lack of caching of types caused by my omission that was the root cause of the problem, though I'd love a confirmation.
For the record, my object creation is pretty vanilla:
private T CreateProxy(MyArgs args)
var options = new ProxyGenerationOptions(new MyMethodSelector());
options.AddMixinInstance(new MyMixin());
Calculated molecules from another source follow:
'''
Formula: CH2O2S2
Source: the Open Molecules 2025 dataset
Level of theory: ωB97M-V with the def2-TZVPD basis set

Each line ends with the natural charge from an NBO analysis.
Element x y z (Å)
C: 1.007 0.149 0.032  -0.768
O: -1.867 1.324 0.492  -0.684
O: 0.373 -2.386 0.093  -0.898
S: -2.942 0.931 -0.472  0.686
S: 1.371 -1.414 -0.298  1.184
H: 1.617 0.741 -0.660  0.223
H: 0.440 0.654 0.813  0.257

The calculation puts the LUMO energy (alpha / beta) at -1.800 / -1.784 eV. The strongest force on any atom comes out at 0.04830 Eh/bohr. For the energy relative to the best compared isomer or geometry (same formula, charge and spin), the calculation gives 68.9 kcal/mol. The calculation puts the total energy at -986.02347 hartree. The HOMO energy (alpha / beta) comes out at -9.54 / -9.55 eV. The value obtained for the gap between HOMO and LUMO (alpha / beta) is 7.740 / 7.770 eV.

----------

[1]
Computed, not measured: a structure of composition C32H51N2RuSe3SiTe, with ωB97M-V/def2-TZVPD.

For the total energy, the calculation gives -250778.406 eV. The energy above the lowest of the compared OMol25 structures with the same formula, charge and spin is 106.9 kJ/mol. The HOMO energy (spin up / spin down) comes out at -10.3 / -10.8 eV. The expectation value of S² is 6.031. As for the net charge: +1. Its strongest force on any atom is 0.92 eV Å⁻¹. Its spin multiplicity is 5.

Last column: Mulliken spin population.
Positions of all 91 atoms, in Å:
Ru  -0.392  -0.632  0.632  2.506
C  -0.229  3.684  0.567  0.002
C  -0.392  3.023  1.911  0.011
C  0.232  3.569  3.023  -0.001
C  0.042  3.028  4.284  0.006
C  -0.799  1.943  4.440  -0.006
C  -1.439  1.354  3.351  -0.057
C  -2.393  0.227  3.607  0.036
C  -1.202  1.885  2.078  0.018
N  -1.709  1.291  0.871  0.001
C  -2.737  1.826  0.324  0.064
C  -3.588  2.852  1.005  0.003
C  -3.087  1.513  -1.112  0.003
C  -4.510  1.732  -1.534  0.004
N  -2.097  1.236  -1.855  -0.009
C  -2.209  0.995  -3.250  -0.013
C  -1.418  1.832  -4.055  0.003
C  -0.603  2.930  -3.432  0.001
C  -1.408  1.630  -5.425  0.000
C  -2.130  0.591  -5.994  0.003
C  -2.868  -0.252  -5.186  -0.001
C  -2.932  -0.070  -3.805  -0.010
C  -3.751  -1.042  -2.998  0.017
H  0.730  4.199  0.508  0.000
H  -1.006  4.440  0.419  0.000
H  -0.299  2.983  -0.263  0.003
H  0.869  4.436  2.896  0.000
H  0.533  3.464  5.144  0.000
H  -0.974  1.535  5.428  0.000
H  -2.211  -0.212  4.587  0.001
H  -2.305  -0.564  2.871  -0.022
H  -3.430  0.573  3.585  0.000
H  -3.271  3.035  2.027  -0.001
H  -4.625  2.513  1.004  0.002
H  -3.566  3.791  0.447  0.001
H  -5.182  1.059  -0.994  -0.003
H  -4.631  1.575  -2.599  0.001
H  -4.818  2.753  -1.304  0.000
H  0.021  2.538  -2.625  0.000
H  -1.234  3.707  -2.995  0.000
H  0.040  3.399  -4.175  0.000
H  -0.812  2.284  -6.050  0.000
H  -2.103  0.432  -7.064  0.000
H  -3.412  -1.080  -5.626  0.000
H  -3.620  -2.051  -3.391  0.007
H  -4.817  -0.811  -3.055  -0.006
H  -3.470  -1.056  -1.946  0.019
Se  -0.578  -1.430  -1.544  0.241
'''
return Generator.CreateClassProxy(
new[] { new MyInterceptor(args) }) as T;
actually DynamicProxy is thread safe so it is quite unlikely it is concurrency related.
First of all, which version of DynamicProxy are you using?
Are you able to reproduce the issue in isolation, outside of IIS?
This issue was reported two years ago, but it was fixed. Please make sure you have the latest version.